“Measure Better,” an ImpactAlpha series in partnership with Acumen, features investment practitioners and thought leaders who are putting customers at the center of their impact strategies.
Global agricultural development doesn’t have the long trail of evidence-based practice that, let’s say, health policy does. The evidence that does exist focuses on agricultural productivity.
The world’s largest foundation wanted to know more. What impact was its agricultural funding having on smallholder incomes, women’s empowerment and diversity of diets?
The Bill & Melinda Gates Foundation knew it had to go beyond traditional measurement tools to collect data that might shed light on the broader social and economic implications of its agriculture portfolio. It turned to Acumen’s Lean Data approach and other creative tools.
Measuring the impact of impact investments – by talking to customers themselves
• Misplaced crystal structures:
Density functional theory data (PBEsol) for IrRu3 after structural relaxation.

Cell: 2.695 4.676 5.055 Å, 117.55 105.47 90.00°
Sites, in units of the cell vectors:
Ru1 0.750 0.417 0.501
Ru2 0.250 0.916 0.499
Ru3 0.500 0.500 0.000
Ir1 0.000 0.000 0.000

Properties
Its symmetry is No. 44. For the formation energy from the elements, the calculation gives -0.042 eV/atom. For the magnetization, the calculation gives 0.00 μB/cell.

* * * * *

i:
Density functional theory data (PBE-GGA) for a relaxed Dy5Sb4P crystal.

Its density is 7.8 g/cm³.

Lattice parameters (Å, degrees): 7.466 7.466 7.466 99.66 99.66 131.63
Fractional coordinates of all 10 atoms:
Dy  0.000  0.000  0.000
Dy  0.217  0.403  0.620
Dy  0.403  0.783  0.185
Dy  0.597  0.217  0.815
Dy  0.783  0.597  0.380
Sb  0.094  0.697  0.791
Sb  0.303  0.094  0.397
Sb  0.697  0.906  0.603
Sb  0.906  0.303  0.209
P  0.500  0.500  0.000



ii:
Density functional theory data (PBE-GGA) for a relaxed Dy5Sb4P crystal.

Its density is 7.8 g/cm³.

Lattice parameters (Å, degrees): 15.529 15.529 15.529 164.01 164.01 22.69
Fractional coordinates of all 10 atoms:
Dy  0.000  0.000  0.000
Dy  0.201  0.201  0.000
Dy  0.408  0.408  0.000
Dy  0.592  0.592  0.000
Dy  0.799  0.799  0.000
Sb  0.099  0.099  0.000
Sb  0.303  0.303  0.000
Sb  0.697  0.697  0.000
Sb  0.901  0.901  0.000
P  0.500  0.500  0.000



Unit: meV per atom. Relative energies: i 0; ii 6.



i:
Density functional theory data (PBE-GGA) for a relaxed DyScP2 crystal.

Its density is 5.4 g/cm³.

Lattice parameters (Å, degrees): 3.888 3.888 6.713 106.87 106.87 60.04
Fractional coordinates of all 4 atoms:
Dy  0.000  0.000  0.000
Sc  0.500  0.500  0.500
P  0.245  0.245  0.735
P  0.755  0.755  0.265



ii:
Density functional theory data (PBE-GGA) for a relaxed DyScP2 crystal.

Its density is 5.3 g/cm³.

Lattice parameters (Å, degrees): 6.942 6.942 6.942 32.20 32.20 32.20
Fractional coordinates of all 4 atoms:
Dy  0.000  0.000  0.000
Sc  0.172  0.172  0.172
P  0.580  0.580  0.580
P  0.759  0.759  0.759



Unit: meV per atom. Relative energies: i 0; ii 150.



i:
Density functional theory data (PBE-GGA) for a relaxed Dy2SiP crystal.

Its density is 7.1 g/cm³.

Lattice parameters (Å, degrees): 11.289 11.289 3.894 90.00 90.00 158.83
Fractional coordinates of all 8 atoms:
Dy  0.067  0.933  0.750
Dy  0.313  0.687  0.750
Dy  0.687  0.313  0.250
Dy  0.933  0.067  0.250
Si  0.464  0.536  0.750
Si  0.536  0.464  0.250
P  0.188  0.812  0.750
P  0.812  0.188  0.250



ii:
Density functional theory data (PBE-GGA) for a relaxed Dy2SiP crystal.

Its density is 5.6 g/cm³.

Lattice parameters (Å, degrees): 9.238 9.238 9.238 23.82 23.82 23.82
Fractional coordinates of all 4 atoms:
Dy  0.106  0.106  0.106
Dy  0.894  0.894  0.894
Si  0.000  0.000  0.000
P  0.500  0.500  0.500



Unit: meV per atom. Relative energies: i 0; ii 818.



i:
Density functional theory data (PBE-GGA) for a relaxed DyTcP crystal.

Its density is 8.4 g/cm³.
“One of the opportunities with Lean Data, and these other lighter evaluation tools, is the opportunity to get innovative with the metrics and the measurement,” said Chiara Kovarik, a program officer on the foundation’s agricultural development team. “These are quick surveys, both to administer and analyze.”
ImpactAlpha spoke with members of the Gates Foundation’s Ag team for our Measure Better series with Acumen. Kovarik, along with Laura Birx, deputy director for strategy on the agricultural development team, are using Lean Data to evaluate global development grants. The Gates Foundation gives away (and invests) about $4.7 billion a year.
Lean Data is helping the foundation gather “clustered insights” across its portfolio. The data Acumen is collecting across organizations lets Gates “benchmark our investments and the organizations that we work with against those in different sectors or even within the same sector but in different geographies,” Kovarik says.
ImpactAlpha: What’s the state of impact measurement and evaluation in global development?
Laura Birx: In agriculture there’s historically been a dearth of the gold standard impact evaluations – randomized control trials – that have traditionally been used in the health sector. We have done more of these in the last decade than were previously done. They give you more concrete evidence about causality.
What we’re also finding is that they are long-term and expensive. For something like agriculture, they may not necessarily be the most conducive to what you’re trying to do and the outcomes you’re trying to get, in part because of the complexity and multi-sectoral nature of agriculture and poverty outcomes.
Impact investors can gain real feedback from their portfolio companies’ customers. Do they want it?
One of the reasons that we have appreciated the partnership with Acumen’s Lean Data team and other monitoring and evaluation providers is that we’re trying to utilize creative evaluation tools that make evaluations either higher quality, or more cost effective, or faster. The efficiency aspect is really important.
The vast majority of agriculture-related impact evaluations have been focused on agricultural productivity. We know that three other things in particular for us are really important, which are related to smallholder income, women’s empowerment, and diversity of diets. We’re using some of these more creative tools, whether it’s Lean Data or others, to actually look at other social or economic-related outcomes as a result of our intervention.
Chiara Kovarik: One of the opportunities with Lean Data, and these other lighter evaluation tools, is the opportunity to get innovative with the metrics and the measurement. These are quick surveys, both to administer and analyze. You are not spending a lot of time with an individual. You’re able to iterate and try different things out and get innovative with measurement of these topics that traditionally we haven’t spent as much time thinking about or measuring.
ImpactAlpha: Do you see a push in global development toward standardization of the impact measurement process?
Laura Birx: There is. Less so in the process itself. More so an attempt to have some standardization around the indicators that we measure as a result of the evaluation. The Sustainable Development Goals at a high-level give the development community some standard against which to measure. Those are obviously high-level outcomes and long-term outcomes, but they’ve done a better job than the previous Millennium Development Goals about getting a little bit more granular on the indicators.
We are really focused on 1) making sure that we’re actually measuring impact, not just counting outputs, but actually measuring what really matters. And, 2) trying to have a conversation with other partners about how we evaluate the causal pathways from the outputs to those higher-level impacts.
ImpactAlpha: How have you used Lean Data with an actual company or an organization?
Chiara Kovarik: The Gates Foundation had given a grant to a poultry company in Ethiopia to expand its scope and reach to smallholder farmers, to reach rural and marginalized farmers. Acumen had also made an investment in the company and that’s how we got to know the Lean Data work.
The poultry company did not have an established monitoring and evaluation infrastructure. They didn’t have a good sense of who they were reaching or any kind of feedback from the customers. Did they like the product? Were they happy with the chickens? Would they have liked something to be done differently?
The Gates Foundation’s Ag team gave an additional grant to Acumen’s Lean Data team and asked, “Can you help this poultry company set up a light-touch monitoring and evaluation infrastructure to help them get feedback from their customers as they expand into these different regions of Ethiopia?” We did this not only because we’re interested in the social and business impact of the company as a donor, but because we thought it would be useful for them as a company to understand whether or not their product and service is satisfying to the customers, and whether there is anything they can do differently.
Customer survey data that makes it simpler to embrace the complexity of impact investing
Over the course of the past two and a half years, Acumen’s Lean Data team has worked with this poultry company to design multiple Lean Data surveys, and collect them from farmers across multiple regions fairly frequently. Every couple of months they’ll do data collection surveys within one of the different regions. The insights have been really useful to us internally to see, yes, this company is having an impact on the social outcomes that we’re interested in, but also for the company because it’s provided them with useful insights into what they might be able to do better with regards to their marketing strategy or the way in which they engage with their sales agents.
ImpactAlpha: Has this changed your relationship with your grantee?
Chiara Kovarik: Definitely. It’s less of a ‘compliance-driven’ monitoring and evaluation system where a grantee is collecting indicators because it’s what the donor requested. Instead grantees are collecting these indicators because doing so will actually help them to become a better business and it’s the sort of thing that they’re interested in as a socially-minded company. And it’s the kind of thing that the donor is interested in to understand whether or not our investments are having an impact.
ImpactAlpha: Where has Lean Data fit best within your monitoring and evaluation work?
Chiara Kovarik: We see Lean Data as one tool within a toolbox of different monitoring and evaluation options that we would consider for any given grant. In some instances, including in the case of the poultry company we spoke about, we have supported both the collection of Lean Data as well as a more standard impact evaluation with a quasi-experimental design. We’re able to get the statistically-significant impacts that might end up in peer-reviewed literature, but we also have the quicker and more customer-centric feedback that Lean Data delivers.
ImpactAlpha: Tell me about your project with Acumen to look at Lean Data across a portfolio.
Chiara Kovarik: Within the agriculture team, we have a series of different topical portfolios. Livestock is one of them. We also have food systems, and seed systems and varietal improvement, etc. We’ve asked the Lean Data team to work with some of those portfolios to collect standardized Lean Data metrics so that we can start to get some consistent social impact indicators across our different investments. Acumen is partnering with 20 of our grantees to do this. We were inspired by the Acumen Energy Report. We really like how they can start to get some clustered insights.
One thing that we really liked with Acumen’s Energy Report is this ability to look across different companies and see how they perform on a variety of different indicators that are standardized. This goes to Laura’s earlier point about the push and the desire to have more standardized indicators. Initially we saw this as a huge value add for our investments; if we’re looking at six different livestock grants, for example, we can start to see how they’re doing with regards to one another on a specific aspect and dig in to understand why one may be having more or less success in that area.
As Acumen continues to collect Lean Data across a variety of organizations globally, there’s this ability to benchmark our investments and the organizations that we work with against those in different sectors or even within the same sector but in different geographies.
ImpactAlpha: On cross-cutting indicators like income?
Chiara Kovarik: You might be able to. I was thinking more of things like the Net Promoter Score, which is a score that Acumen collects for all of its Lean Data engagements. With it we can understand whether or not customers or clients are satisfied with that product or service. And once we have that we can dig into why they may be satisfied or unsatisfied, which could be for a variety of reasons. Perhaps from other some sectors, there are things that we can learn that might be applicable to our work in agriculture.
ImpactAlpha: What are some of the risks or challenges in using Lean Data as opposed to other tools?
Laura Birx: One thing that we don’t have from Lean Data is a counterfactual. Lean Data is more of a monitoring mechanism. Especially when we get these results so quickly, there is a temptation to interpret them as being maybe more of a study design than what it actually is. That’s one thing that it doesn’t get. That’s what makes it so fast and efficient so you wouldn’t want to give that up. Perhaps it’s more on the interpretation side that needs work.
Chiara Kovarik: One of the reasons it’s so valuable and so quick is that the interviews are conducted via phone. This can also be a downside. We see that the response rates may or may not be as high as they would be with in-person surveys, where you’re going household-to-household. From the gender lens perspective, lots of times women don’t own a mobile phone. There is the chance that we might reach more men via phone calls; and therefore, get a slightly skewed response with regards to gender dynamics, which is something to be aware of. I don’t think it’s necessarily a con, but something to keep in mind when interpreting the results.